File.
********
C31H55B2FN10O2Ti | wB97M-V/def2-TZVPD

Structure (ORCA input):
```
! RIJCOSX wB97M-V def2-TZVPD def2/J DEFGRID3
* xyz 0 1
Ti -0.62366 1.01097 -0.01262
C -4.72824 -2.37733 0.11274
C -3.55313 -3.11218 -0.52273
C -4.02181 -4.35994 -1.27001
C -2.76308 -2.20439 -1.43090
C -1.93640 -2.53732 -2.53049
C -1.50488 -1.32344 -3.01196
N -2.02880 -0.35187 -2.23909
N -2.81615 -0.89376 -1.27717
B -2.15664 1.15241 -2.56224
N -3.04832 1.76341 -1.47743
C -4.34002 2.08663 -1.58005
C -4.82747 2.37400 -0.32500
C -3.74029 2.17410 0.53300
N -2.67328 1.79633 -0.17065
C -3.70020 2.34250 2.02196
C -4.43901 1.19416 2.70952
C -4.27802 3.69440 2.43633
N -0.76976 1.93726 -2.50907
C -0.09560 2.42977 -3.55595
C 0.65861 3.50933 -3.14538
C 0.38957 3.63373 -1.77723
N -0.46188 2.68151 -1.40045
C 0.86588 4.65906 -0.78616
C 1.27843 5.94960 -1.49189
C -0.18327 4.92468 0.28858
H -4.40621 -1.47073 0.62150
H -5.22869 -3.02607 0.83369
H -5.45495 -2.08150 -0.64661
H -2.90167 -3.44842 0.29242
H -4.63791 -4.08637 -2.12894
H -4.61677 -4.99721 -0.61459
H -3.18260 -4.95265 -1.63570
H -1.69603 -3.51104 -2.91862
H -0.85470 -1.08580 -3.83742
H -2.63179 1.33789 -3.64708
H -4.81741 2.08835 -2.54453
H -5.82018 2.69168 -0.06489
H -2.65297 2.31298 2.32591
H -5.50402 1.22929 2.47447
H -4.32881 1.26032 3.79179
H -4.05963 0.22588 2.38338
H -5.33939 3.75991 2.19197
H -3.76695 4.51393 1.93269
H -4.17766 3.83809 3.51247
H -0.23752 2.00618 -4.53610
H 1.28922 4.13062 -3.75384
H 1.75012 4.24980 -0.28949
H 0.44112 6.37369 -2.04849
H 2.09888 5.78377 -2.19063
H 1.60766 6.69107 -0.76310
H -1.12182 5.25909 -0.15753
H 0.17426 5.69980 0.96845
H -0.39042 4.03689 0.88811
C -0.74518 0.61914 2.01236
H -1.71887 0.12885 2.13926
H -0.65844 1.48505 2.66944
H 0.05249 -0.09148 2.24316
F 0.18976 -0.44541 -0.59472
C 4.58203 0.66968 0.36360
C 3.66118 1.88156 0.35090
C 4.26621 2.95370 -0.54657
O 2.41141 1.46368 -0.25375
B 1.36575 1.80519 0.56285
O 1.77909 2.47618 1.68470
C 3.22392 2.38051 1.77864
C 3.49872 1.38210 2.89468
C 3.76257 3.74843 2.16194
H 4.79684 0.37532 -0.66279
H 4.11954 -0.17600 0.86577
H 5.52840 0.89839 0.85639
H 4.41273 2.52863 -1.53895
H 5.23432 3.28658 -0.17138
H 3.62347 3.82384 -0.64801
H 3.05509 0.41117 2.67746
H 3.04830 1.75724 3.81324
H 4.56741 1.24808 3.06528
H 3.46312 4.51604 1.45219
H 4.85177 3.73756 2.21637
H 3.37928 4.02396 3.14340
C 1.56786 -3.16707 2.47891
N 0.71677 -2.56013 1.46004
C 1.06970 -3.14360 0.16227
N 0.92582 -4.60389 0.15787
C 1.76192 -5.15762 1.22000
N 1.41810 -4.62378 2.53947
C 0.00532 -4.92284 2.79289
N -0.88297 -4.36035 1.77220
C -0.67099 -2.90714 1.74854
C -0.46896 -4.90531 0.47376
H 1.30931 -2.74512 3.45458
H 2.61321 -2.93099 2.26087
H 2.10442 -2.88226 -0.07242
H 0.42429 -2.71901 -0.60468
H 2.80841 -4.92470 1.00710
H 1.64349 -6.24460 1.23632
H -0.27240 -4.51560 3.76815
H -0.12433 -6.00711 2.81633
H -0.95235 -2.48940 2.71884
H -1.30828 -2.45991 0.97837
H -1.09729 -4.47973 -0.30991
H -0.60761 -5.99006 0.48761
*
```

Gap between HOMO and LUMO: 8.73 eV
Strongest force on any atom: 0.012 Eh/bohr
ΔE to the lowest compared entry with this formula, charge and spin: 4.2 kcal/mol
E_HOMO: -8.32 eV
Energy: -2911.53616 hartree

These are the Mulliken partial charges, in e, on atoms 1 to 5:
1 Ti 0.27
2 C -1.56
3 C 1.89
4 C -1.91
5 C 0.50

C31H55NO24 | wB97M-V/def2-TZVPD

Structure (ORCA input):
```
! RIJCOSX wB97M-V def2-TZVPD def2/J DEFGRID3
* xyz 0 1
C -0.57900 -1.74921 -3.20936
C -0.50249 -0.93651 -1.91240
C -1.67857 -1.10710 -0.99891
O -1.01669 -1.28750 0.24186
C 0.32296 -1.46163 0.12176
O 1.08046 -1.67072 1.01653
O 0.63967 -1.30598 -1.12027
H -0.73274 -2.80721 -2.97804
H 0.26055 -1.57740 -3.84587
H -1.38483 -1.59850 -3.90086
H -0.40258 0.14700 -2.27477
H -2.34058 -1.91130 -1.23426
H -2.26673 -0.19976 -1.07751
C -6.18010 3.30547 -3.96824
C -4.87644 2.59737 -3.40241
C -4.99470 2.30561 -1.93461
O -4.57456 0.93111 -1.94503
C -4.60610 0.36209 -3.13554
O -4.51785 -0.88306 -3.41519
O -4.81388 1.33509 -4.01953
H -6.33227 4.31259 -3.65390
H -6.98814 2.69044 -3.64076
********

Wanted.
Next, quote the calculation results further up from the line with "-0.67099 -2.90714" to the end without additions.

Result.
C -0.67099 -2.90714 1.74854
C -0.46896 -4.90531 0.47376
H 1.30931 -2.74512 3.45458
H 2.61321 -2.93099 2.26087
H 2.10442 -2.88226 -0.07242
H 0.42429 -2.71901 -0.60468
H 2.80841 -4.92470 1.00710
H 1.64349 -6.24460 1.23632
H -0.27240 -4.51560 3.76815
H -0.12433 -6.00711 2.81633
H -0.95235 -2.48940 2.71884
H -1.30828 -2.45991 0.97837
H -1.09729 -4.47973 -0.30991
H -0.60761 -5.99006 0.48761
*
```

Gap between HOMO and LUMO: 8.73 eV
Strongest force on any atom: 0.012 Eh/bohr
ΔE to the lowest compared entry with this formula, charge and spin: 4.2 kcal/mol
E_HOMO: -8.32 eV
Energy: -2911.53616 hartree

These are the Mulliken partial charges, in e, on atoms 1 to 5:
1 Ti 0.27
2 C -1.56
3 C 1.89
4 C -1.91
5 C 0.50

C31H55NO24 | wB97M-V/def2-TZVPD

Structure (ORCA input):
```
! RIJCOSX wB97M-V def2-TZVPD def2/J DEFGRID3
* xyz 0 1
C -0.57900 -1.74921 -3.20936
C -0.50249 -0.93651 -1.91240
C -1.67857 -1.10710 -0.99891
O -1.01669 -1.28750 0.24186
C 0.32296 -1.46163 0.12176
O 1.08046 -1.67072 1.01653
O 0.63967 -1.30598 -1.12027
H -0.73274 -2.80721 -2.97804
H 0.26055 -1.57740 -3.84587
H -1.38483 -1.59850 -3.90086
H -0.40258 0.14700 -2.27477
H -2.34058 -1.91130 -1.23426
H -2.26673 -0.19976 -1.07751
C -6.18010 3.30547 -3.96824
C -4.87644 2.59737 -3.40241
C -4.99470 2.30561 -1.93461
O -4.57456 0.93111 -1.94503
C -4.60610 0.36209 -3.13554
O -4.51785 -0.88306 -3.41519
O -4.81388 1.33509 -4.01953
H -6.33227 4.31259 -3.65390
H -6.98814 2.69044 -3.64076